Join Zoom Meeting
Meeting ID: 854 4390 1301
Meeting ID: 854 4390 1301
12/20, 12/27 主日將採Zoom 線上敬拜。
Zoom Link:
Youtube: North Texas Chinese Church
現場敬拜:週日早上 10:00am
3501 Cross Timbers Road
Flower Mound, TX 75028
兒童事工從 Aug. 2 開始,有三個不同時段的線上兒童主日學,使用Zoom線上學習。
'''
Calculated powder diffraction line list
Compound: ReHg4Pt
Radiation: Cu Ka
Structure: the PBE geometry in Alexandria

Largest 6 diffraction maxima, by intensity, 5° ≤ 2θ ≤ 70°:
d (Å)	2θ (°)	I (rel.)
2.394	37.57	100
2.292	39.31	43
1.528	60.60	34
1.404	66.63	30
2.807	31.88	24
1.621	56.81	10

Crystal structure
```
ReHg4Pt
1.0
0.000 3.970 3.970
3.970 0.000 3.970
3.970 3.970 0.000
Re Hg Pt
1 4 1
Direct
0.000 0.000 0.000
0.125 0.625 0.625
0.625 0.125 0.625
0.625 0.625 0.125
0.625 0.625 0.625
0.250 0.250 0.250
```

Calculated powder diffraction line list
Compound: UHgPtRh
Radiation: Cu Ka
Structure: the PBE geometry in Alexandria

Largest 6 diffraction maxima, by intensity, 5° ≤ 2θ ≤ 70°:
d (Å)	2θ (°)	I (rel.)
2.387	37.68	100
1.378	68.03	36
1.688	54.35	18
3.376	26.40	4
3.898	22.81	3
2.036	44.51	2

Crystal structure
```
UHgPtRh
1.0
6.752 0.000 0.000
0.000 6.752 0.000
0.000 0.000 6.752
U Hg Pt Rh
4 4 4 4
Direct
0.000 0.000 0.000
0.000 0.500 0.500
0.500 0.000 0.500
0.500 0.500 0.000
0.000 0.000 0.500
0.000 0.500 0.000
0.500 0.000 0.000
0.500 0.500 0.500
0.250 0.250 0.250
0.250 0.750 0.750
0.750 0.250 0.750
0.750 0.750 0.250
0.250 0.250 0.750
0.250 0.750 0.250
0.750 0.250 0.250
0.750 0.750 0.750
```

Calculated powder diffraction line list
Compound: HgPtS2
Radiation: Cu Ka
Structure: the PBE geometry in Alexandria

Largest 6 diffraction maxima, by intensity, 5° ≤ 2θ ≤ 70°:
d (Å)	2θ (°)	I (rel.)
4.356	20.39	100
2.914	30.68	81
2.117	42.71	42
3.138	28.44	36
2.796	32.01	34
2.729	32.81	31

Crystal structure
```
HgPtS2
1.0
6.380 0.000 0.000
0.000 3.535 0.000
0.000 0.000 17.424
Hg Pt S
4 4 8
Direct
0.107 0.250 0.125
0.393 0.750 0.625
0.607 0.250 0.375
0.893 0.750 0.875
0.109 0.750 0.378
0.391 0.250 0.878
0.609 0.750 0.122
0.891 0.250 0.622
0.054 0.750 0.687
0.226 0.750 0.942
0.274 0.250 0.442
0.446 0.250 0.187
0.554 0.750 0.813
0.726 0.750 0.558
0.774 0.250 0.058
0.946 0.250 0.313
```

Calculated powder diffraction line list
Compound: Sc2Hg2Pt
Radiation: Cu Ka
Structure: the PBE geometry in Alexandria

Largest 6 diffraction maxima, by intensity, 5° ≤ 2θ ≤ 70°:
d (Å)	2θ (°)	I (rel.)
2.539	35.36	100
3.256	27.39	95
2.314	38.92	68
2.302	39.12	61
2.002	45.30	58
3.291	27.10	35

Crystal structure
```
Sc2Hg2Pt
1.0
3.338 0.000 0.000
0.000 19.544 0.000
0.000 0.000 3.255
Sc Hg Pt
4 4 2
Direct
0.000 0.084 0.000
0.000 0.916 0.000
0.500 0.416 0.000
0.500 0.584 0.000
0.000 0.313 0.500
0.000 0.687 0.500
0.500 0.187 0.500
0.500 0.813 0.500
0.000 0.500 0.500
0.500 0.000 0.500
```

Calculated powder diffraction line list
Compound: ScHgPt
Radiation: Cu Ka
Structure: the PBE geometry in Alexandria

Largest 6 diffraction maxima, by intensity, 5° ≤ 2θ ≤ 70°:
d (Å)	2θ (°)	I (rel.)
2.578	34.80	100
2.381	37.78	84
2.027	44.71	58
3.686	24.15	49
3.339	26.70	48
2.097	43.15	44

Crystal structure
```
ScHgPt
1.0
3.401 0.000 0.000
0.000 17.648 0.000
0.000 0.000 4.057
Sc Hg Pt
4 4 4
Direct
0.000 0.094 0.250
0.000 0.906 0.750
0.500 0.406 0.750
0.500 0.594 0.250
0.000 0.292 0.250
0.000 0.708 0.750
'''
End of the crystal structures.
1. 小熊班 (7歲-8歲) 9:15am-10:00am
2. 大熊班 (9歲-12歲) 11:30am-12:30pm
3. 主日敬拜同時提供現場兒童主日學 10:00am-11:15am
Every Sunday morning, Online zoom Children Sunday classes
New semester register HERE
Welcome all the children join us!
North Texas Chinese Church’s re-opening implementation and practice of conducting worship services and other ministerial service
線上直播,NTCC Youtube link
Phase one re-opening plan 第一階段開放規劃
Your physical and spiritual health and safety is our top priority as we plan and prepare for our phase onechurch re-opening. The Church Council and coworkers will continuously re-evaluate our church re-opening situation and commit to do our best to keep our congregation safe and informed. If you have any concerns or suggestion, feel free to let us know so we can make any necessary adjustment and arrangement. 在我們為第一階段的教會重新開放進行規劃和準備時, 您的身心健康是我們的首要任務。 教會理事會和同工將不斷重新評估我們的教會重新開放的情況, 並承諾盡我們最大的努力, 保持我們的教會安全和訊息更新。如果您有任何顧慮或建議, 請隨時告知我們, 以便我們可以做出任何必要的調整和安排。
平安! 希望您們都好! 根據州長在5/18的公布,教會將遵循州政府的開放原則,預定恢復聚會的時間將稍後公布! 教會也會有更多詳細的規範在之後公布。
Dear NTCC members & friends,
Grace, peace and health to you all in the wonderful name of our Lord Jesus Christ.
According to Texas Governor’s Executive order issued on 5/18, many of businesses, restaurants, public service and facilities were reopened with certain guideline, even though many people still concern about the present pandemic situation. The government has given special consideration to houses of worship when issuing orders related to the COVID-19 crisis.
Our church has been closely monitoring government’s order and its plan for the reopening of our in-person fellowship and worship. These are the updated government guideline for church worship guidance:
When conducting services, houses of worship may consider implementing the following practices:
Here the page breaks off for records of crystals
<<<
Structure and theoretical powder XRD pattern of SmDyCo4O12 (a structure optimized by DFT (GGA+U); Cu Kα).
Lines closer than 0.1° are merged.

Atomic structure:
```
data_SmDyCo4O12
_cell_length_a 5.2469
_cell_length_b 5.2469
_cell_length_c 7.4625
_cell_angle_alpha 90.00
_cell_angle_beta 90.00
_cell_angle_gamma 90.00
_symmetry_space_group_name_H-M 'P 4/m m m'
_symmetry_Int_Tables_number 123
_symmetry_space_group_name_Hall '-P 4 2'
loop_
_atom_site_label
_atom_site_fract_x
_atom_site_fract_y
_atom_site_fract_z
Sm1 0.0000 0.0000 0.0000
Dy1 0.5000 0.5000 0.5000
Co1 0.0000 0.5000 0.2506
O1 0.0000 0.5000 0.0000
O2 0.0000 0.5000 0.5000
O3 0.2518 0.2518 0.2533
```

The 10 most intense peaks (10° ≤ 2θ ≤ 90°), in order of falling intensity:
2θ = 34.1°, I 100, (2 0 0); 2θ = 20.7°, I 93, (1 0 1); 2θ = 40.3°, I 33, (2 1 1); 2θ = 49.1°, I 26, (2 2 0); 2θ = 61.1°, I 25, (3 1 2); 2θ = 40.1°, I 17, (1 0 3); 2θ = 71.8°, I 15, (2 2 4); 2θ = 53.7°, I 15, (2 1 3); 2θ = 48.8°, I 13, (0 0 4); 2θ = 60.9°, I 13, (2 0 4)

~~~~~

Entry 1:
This entry pairs a crystal structure of LiCo3O6 with its computed powder XRD pattern. Radiation: a wavelength of 1.5418 Å. Structure: a crystal structure in the Materials Project, relaxed with PBE+U.
Lines closer than 0.1° are merged.

Most intense lines, 2θ = 10–90°, in order of falling intensity:
2θ/deg	I/Imax	index
17.6	100.0	0 0 2
45.5	15.5	2 -1 2
37.3	10.2	1 1 0
37.6	10.0	-1 2 1
59.1	5.6	1 -2 5
40.6	5.4	1 1 -3
40.8	5.3	-1 2 2
45.7	5.3	-1 2 3

Crystal structure
a = 4.9138 Å, b = 4.9319 Å, c = 10.4674 Å
α = 90.35°, β = 103.24°, γ = 119.46°
Space group P1 (No. 1)
Symmetry-distinct sites (fractional):
1 Li 0.0000 0.0000 0.0000
2 Li 0.3354 0.8295 0.5009
3 Co 0.1653 0.2581 0.7506
4 Co 0.1711 0.0927 0.2621
5 Co 0.5019 0.7576 0.2527
6 Co 0.5056 0.9243 0.7592
7 Co 0.8227 0.4181 0.2465
8 Co 0.8308 0.5922 0.7520
9 O 0.1095 0.5675 0.6591
10 O 0.1215 0.7527 0.1568
11 O 0.2184 0.9556 0.8495
12 O 0.2394 0.4680 0.3515
13 O 0.4162 0.3798 0.1569
14 O 0.4401 0.2214 0.6598
15 O 0.5525 0.1038 0.3538
16 O 0.5898 0.6367 0.8558
17 O 0.7482 0.8752 0.6536
18 O 0.7781 0.0402 0.1554
19 O 0.9029 0.2910 0.8493
20 O 0.9029 0.8027 0.3536

Entry 2:
This entry pairs a crystal structure of Ca4Al3CrSiBO14 with its computed powder XRD pattern. Radiation: a wavelength of 1.5418 Å. Structure: a crystal structure in the Materials Project, relaxed with PBE+U.
Lines closer than 0.1° are merged.

Most intense lines, 2θ = 10–90°, in order of falling intensity:
2θ/deg	I/Imax	index
31.5	100.0	-1 2 1
31.7	71.9	1 2 -1
31.2	69.9	1 -1 2
31.0	37.8	1 1 2
29.2	28.2	1 -2 0
52.3	25.7	-2 3 1
23.8	21.6	1 1 1
28.9	16.9	1 0 2

Crystal structure
a = 5.0586 Å, b = 7.6904 Å, c = 7.7179 Å
α = 89.38°, β = 88.98°, γ = 89.80°
Space group P1 (No. 1)
Symmetry-distinct sites (fractional):
1 Ca 0.0000 0.0000 0.0000
2 Ca 0.0068 0.8289 0.5384
3 Ca 0.0235 0.5072 0.8628
4 Ca 0.9835 0.3226 0.3262
5 Al 0.4657 0.3006 0.0382
6 Al 0.5046 0.1430 0.6850
7 Al 0.5058 0.6650 0.1722
8 Cr 0.5453 0.5205 0.5471
>>>
Come back to regular worship and fellowship in person as usual really take time, logistic preparation and faith. Church will not only follow the government’s guidance for church reopen policies, but will stand up our First Amendment right as well. We won’t risk our congregation when we come back for fellowship in person. Therefore, I need you to join with me to patiently pray for our preparation, and God’s protection and guidance. I miss you all and hope to see you all in person soon.
[Between two parts of the text: materials data]
-- begin --
[1]
The following is a calculated X-ray powder pattern of RbNa2Sb2H2. It was derived from DFT lattice parameters and positions (GGA-PBE), using Cu Kα (weighted mean of Kα1 and Kα2).

Cell and atoms:
a b c (Å): 8.6722 5.6400 8.9346
angles (deg): 90.00 94.93 90.00
Space group C2/m (No. 12)
Unique sites:
Rb 0.0000 0.0000 0.0000
Na 0.1740 0.5000 0.6299
Sb 0.1855 0.5000 0.2717
H 0.0055 0.5000 0.1655

Main lines, in order of rising 2θ (10 to 80 degrees two-theta):
2θ 19.95, intensity 15, (0 0 2); 2θ 21.71, intensity 100, (1 1 1); 2θ 22.09, intensity 40, (2 0 -1); 2θ 26.87, intensity 25, (1 1 -2); 2θ 27.51, intensity 18, (2 0 -2); 2θ 28.19, intensity 16, (1 1 2); 2θ 30.07, intensity 27, (2 0 2); 2θ 31.73, intensity 31, (0 2 0); 2θ 34.97, intensity 65, (3 1 0); 2θ 39.00, intensity 18, (2 2 -1); 2θ 44.28, intensity 19, (2 2 2); 2θ 58.63, intensity 14, (3 3 0)

***

[2]
The following is a calculated X-ray powder pattern of NdYHg5. It was derived from DFT lattice parameters and positions (GGA-PBE), using Cu Kα (weighted mean of Kα1 and Kα2).

Cell and atoms:
a b c (Å): 6.5194 8.3826 6.9974
angles (deg): 90.00 90.00 90.00
Space group Cmmm (No. 65)
Unique sites:
Nd 0.0000 0.0000 0.0000
Y 0.0000 0.5000 0.5000
Hg 0.0000 0.0000 0.5000
Hg 0.2500 0.2500 0.2415

Main lines, in order of rising 2θ (10 to 80 degrees two-theta):
2θ 17.23, intensity 20, (1 1 0); 2θ 21.20, intensity 13, (0 2 0); 2θ 33.36, intensity 100, (0 2 2); 2θ 34.87, intensity 93, (2 2 0); 2θ 37.72, intensity 72, (2 0 2); 2θ 43.17, intensity 25, (0 4 0); 2θ 43.68, intensity 13, (2 2 2); 2θ 52.30, intensity 14, (0 0 4); 2θ 58.64, intensity 40, (2 4 2); 2θ 64.40, intensity 31, (2 2 4); 2θ 67.18, intensity 27, (4 2 2); 2θ 70.07, intensity 12, (0 4 4)

***

[3]
The following is a calculated X-ray powder pattern of Na2CdSb. It was derived from DFT lattice parameters and positions (GGA-PBE), using Cu Kα (weighted mean of Kα1 and Kα2).

Cell and atoms:
a b c (Å): 8.0398 6.9740 9.3799
angles (deg): 90.00 125.66 90.00
Space group P2_1/c (No. 14)
Unique sites:
Na 0.0007 0.2499 0.0013
Na 0.2625 0.0003 0.3814
Cd 0.2505 0.5011 0.3745
Sb 0.4994 0.7070 0.7404

Main lines, in order of rising 2θ (10 to 80 degrees two-theta):
2θ 13.56, intensity 53, (1 0 0); 2θ 17.24, intensity 54, (1 1 -1); 2θ 23.35, intensity 27, (0 0 2); 2θ 25.92, intensity 20, (1 1 1); 2θ 28.14, intensity 15, (1 2 -1); 2θ 31.98, intensity 100, (1 2 -2); 2θ 33.43, intensity 100, (1 0 2); 2θ 37.73, intensity 73, (2 2 0); 2θ 38.39, intensity 34, (2 0 -4); 2θ 54.92, intensity 42, (4 2 -4); 2θ 63.67, intensity 17, (1 4 2); 2θ 66.27, intensity 34, (5 0 -6)
-- stop --
Nevertheless, We will continue to operate the online service and fellowship to serve our congregation when we later come back in person. We will continue to meet our members even though not able to be in person but will still through online alternative during the summer time. Once our preparation is done and ready, I will keep you post when we will officially come back.
May God bless you!!
我們不能停止我們每週的團契和一起的崇拜。 因此,我們的教會本周開始進行線上崇拜服事,至少在未來兩周內我們將繼續使用網路禮拜。所以請在星期日早上10點登上教會的網站點擊主日線上敬拜,您就可以和我們一起同心敬拜。或是至Youtube搜尋North Texas Chinese Church 就可以看到當週的主日敬拜連結。
至於每週的主日奉獻,你可以郵寄到教會 3501 Cross Timbers Rd, Flower Mound, TX 75028. 每週的家庭小組聚會將繼續聚集,但將通過Zoom。
我會隨時通知大家,並告知您我們的更新,以回應COVID-19的情況。 讓我們繼續為我們的總統、我們的政府、所有的醫療和保健人員、我們的領導人、那些感染了病毒的人以及我們的國家安全祈禱。 願主拯救我們並在困難和挑戰中看到他的作為。
Dear brothers and sisters,
We know as Christians, we are not forsaking our weekly fellowship and worship together. So our church has started online stream worship service last week and will continue to host our service at least for the next two weeks. So please go to our church website or search on Youtube: North Texas Chinese Church and join our online stream worship at 10:00 am. Your weekly offering can send to Church 3501 Cross Timbers Road, Flower Mound, TX 75028. Our weekly family cell group fellowship gathering will remain gathering but through Zoom.
I will keep you all posted and communicate to you what our update in response to the COVID-19 situation. Let’s continue to pray for our President, our government, all medical and health care personnel, our leaders, those who are infected by virus, and our national security. May the Lord help us to behold his works in in this time of difficulty and challenge.”